The BIOPAMA Action Component, a programme funded by the European Union and the organisation of Africa, Caribbean and Pacific (ACP) States, is partnering with the Society for Sustainability and Conservation Education for Rural Areas (SCERA), a Nigerian conservation organisation in the Okomu National Park.

Attached: data records >
# 1
Density functional theory data (PBE-GGA) for an optimized crystal structure of Pr2Cd5Au3.

Cell: 6.097 9.427 9.427 Å, 88.15 71.13 71.13°
Fractional coordinates of all 20 atoms:
Cd (0.000, 0.250, 0.250)
Cd (0.750, 0.500, 0.500)
Cd (0.500, 0.750, 0.750)
Cd (0.385, 0.257, 0.973)
Cd (0.115, 0.027, 0.743)
Cd (0.500, 0.250, 0.250)
Cd (0.615, 0.743, 0.027)
Cd (0.250, 0.500, 0.500)
Cd (0.885, 0.973, 0.257)
Cd (0.000, 0.750, 0.750)
Au (0.750, 0.000, 0.000)
Au (0.874, 0.776, 0.476)
Au (0.626, 0.524, 0.224)
Au (0.250, 0.000, 0.000)
Au (0.126, 0.224, 0.524)
Au (0.374, 0.476, 0.776)
Pr (0.628, 0.133, 0.611)
Pr (0.128, 0.611, 0.133)
Pr (0.372, 0.867, 0.389)
Pr (0.872, 0.389, 0.867)

Calculated values
Energy above the most stable polymorph in this dataset (meV/atom): 54.6
E_form (meV/atom): -390
Total magnetization (μB per formula unit): 0.0
Volume (Å³ per cell): 483.62

# 2
Density functional theory data (PBE-GGA) for an optimized crystal structure of Pr3Cd4Au4.

Cell: 4.179 8.160 9.173 Å, 116.41 103.17 90.00°
Fractional coordinates of all 11 atoms:
Cd (0.668, 0.859, 0.337)
Cd (0.332, 0.141, 0.663)
Cd (0.332, 0.523, 0.663)
Cd (0.668, 0.477, 0.337)
Au (0.236, 0.736, 0.472)
Au (0.500, 0.193, 0.000)
Au (0.500, 0.807, 0.000)
Au (0.764, 0.264, 0.528)
Pr (0.882, 0.882, 0.763)
Pr (0.000, 0.500, 0.000)
Pr (0.118, 0.118, 0.237)

Calculated values
E_form (meV/atom): -547
Total magnetization (μB per formula unit): 0.0
Volume (Å³ per cell): 270.96

# 3
Density functional theory data (PBE-GGA) for an optimized crystal structure of Pr2Cd5Au3.

Cell: 4.628 7.623 13.724 Å, 90.00 99.71 90.00°
Fractional coordinates of all 20 atoms:
Pr (0.179, 0.690, 0.357)
Pr (0.478, 0.791, 0.956)
Pr (0.821, 0.190, 0.643)
Pr (0.522, 0.291, 0.044)
Au (0.389, 0.034, 0.777)
Au (0.234, 0.180, 0.467)
Au (0.044, 0.008, 0.089)
Au (0.766, 0.680, 0.533)
Au (0.611, 0.534, 0.223)
Au (0.956, 0.508, 0.911)
Cd (0.602, 0.919, 0.203)
Cd (0.294, 0.487, 0.588)
Cd (0.706, 0.987, 0.412)
Cd (0.705, 0.377, 0.410)
Cd (0.874, 0.755, 0.748)
Cd (0.055, 0.624, 0.110)
Cd (0.398, 0.419, 0.797)
Cd (0.945, 0.124, 0.890)
Cd (0.295, 0.877, 0.590)
Cd (0.126, 0.255, 0.252)

Calculated values
Energy above the most stable polymorph in this dataset (meV/atom): 0.0
E_form (meV/atom): -445
Total magnetization (μB per formula unit): 0.0
Volume (Å³ per cell): 477.25

# 4
Density functional theory data (PBE-GGA) for an optimized crystal structure of Pr4CdPtAu2.

Cell: 5.305 5.305 9.171 Å, 73.19 73.19 60.00°
Fractional coordinates of all 8 atoms:
Cd (0.000, 0.000, 0.000)
Pt (0.500, 0.500, 0.500)
Pr (0.617, 0.617, 0.150)
Pr (0.869, 0.869, 0.394)
Pr (0.383, 0.383, 0.850)
Pr (0.131, 0.131, 0.606)
Au (0.262, 0.262, 0.214)
Au (0.738, 0.738, 0.786)

Calculated values
E_form (meV/atom): -719
Total magnetization (μB per formula unit): 0.0
Volume (Å³ per cell): 210.64

# 5
Density functional theory data (PBE-GGA) for an optimized crystal structure of PrCdPtAu.

Cell: 5.003 5.003 5.003 Å, 60.00 60.00 60.00°
The page goes on >

The project, titled “Enhancing the Management and Governance Effectiveness of Okomu National Park, Nigeria”, is aimed at enhancing partnership between government and community in the effective management of the national park. It will foster good governance by enabling community participation in protected area management activities and strengthen capacity of national park rangers.
Okomu National Park, the smallest of Nigeria’s eight national parks, has in the past several decades suffered severe deforestation mainly due to illegal logging, uncontrolled small-scale farming (mostly cocoa, plantain, cassava) and large-scale commodity production (oil palm and rubber), and associated threats. In addition, insecurity caused by illegal activities recently escalated around the park. Between 1987 and 2011, annual deforestation rates increased from 3.5% to 5.1%. Recent forest cover analysis shows that ONP has lost around 30% of its forest in the last 20 years.
Under the BIOPAMA AC Medium Grant, SCERA will be working with park management, the Nigerian Conservation Foundation (NCF), local communities and several key stakeholders, including Okomu Oil Palm Company Plc. to review and update the management plan of the Okomu National Park, build capacity of rangers and support the livelihoods of park-adjacent communities.
At the inception of the project in March 2023, SCERA, in collaboration with the Park Management and working with Dr Adam Manvell a social geographer, conducted a value-chain analysis to identify key sustainable forest management (SFM) initiatives that will enable transition to more forest-friendly livelihoods.
“The project intends to train farmer cooperatives and community groups in sustainable forest management, especially helping them to draw the link between SFM and livelihood enhancement. This will enable them continue to carry out their livelihood activities in a way that minimizes impact on the forest and environment in general. We will also support them to adopt forest-friendly income enhancing farming activities identified during the value chain analysis by providing the tools and resources needed,” said Dr Jacinta Abalaka, SCERA National Programme Coordinator.
Community members expressed pleasure at the community engagement and livelihood enhancement approach adopted under the project.
Mabiri Blessing, a representative of Inikorogha community, expressed gratitude saying: “SCERA’s approach of engaging and consulting with communities, and also finding an alternative source of livelihood for communities is highly laudable.”

In August 2023, a series of activities was officially launched to strengthen capacity for improved management of the Okomu National Park. The week-long programme commenced with the meeting of the Okomu Biodiversity Stakeholders Platform (OBSP) and establishment of a Grievance Redress Committee (GRC), followed by training of the GRC and park rangers.
The OBSP is a coordination forum meant to provide an avenue for communities living adjacent to the park to interact and engage in regular and constructive dialogue with park management and other key stakeholders instead of resorting to violence. This was deemed necessary as increasing conflicts between communities and the park was creating a barrier to effective management of the ONP. Communities felt excluded from decision making and perceived little to no benefits from the park in spite of restricted access to forest resources. This resulted in a strained relationship between communities and park authorities and further exacerbated illegal activities.
To address this, SCERA established the OBSP in December 2021 with the support of the Critical Ecosystem Partnership Fund (CEPF). The OBSP is made up of representatives from the 12 critical communities surrounding the ONP; government, including the Okomu Park management, National Park Service, Ministry of Environment (Federal Department of Forestry), Edo State Forestry Commission, Office of the State Governor and local government authorities; and NGO – SCERA, NCF, Leventis Foundation Nigeria and Africa Nature Investors.
The Okomu Oil Palm Company Plc, one of the largest oil palm concessions in the country, located adjacent to the park, also sits on the OBSP.
Speaking during the meeting held on August 21, 2023, at the Okomu Park headquarters in Udo, Ovia South West local government area of Edo State, the Conservator General of the National Park Service, Dr Ibrahim Musa Goni, represented by Assistant Conservator General, ACG Cornelius Oladipo, appreciated all stakeholders and asked for the full support of communities in order for the park to progress successfully in its conservation work.
He added: “If we (park and communities) do not cooperate, NGOs will not be able to work here, they will leave.”
In his opening remark, ACG Oladipo expressed delight in being back at the Okomu National Park where he was once a Conservator of Parks (CP). He thanked the current CP, who is also from the state and encouraged communities to feel free to air their views and opinions.

As part of the capacity building initiative of the BIOPAMA programme, a Grievance Redress Committee (GRC) set up for the Okomu National Park received training from August 22 to 24, 2023. The training was facilitated by Mr Tony Atah, a natural resource management specialist.
The GRC is made up of park management, 12 park-adjacent communities and other key stakeholders and serves as a forum to manage and address grievances and complaints.
“The establishment of the OBSP and subsequently the GRC will enable a more inclusive approach in the management of the Okomu National Park,” noted Mr Atah.
A representative of Okomu community, Chief Yabike French, expressed gratitude to SCERA for setting up the GRC. He commented that “such a [GRC] committee will enable peace and coexistence amongst neighbouring communities as one can boldly come out to share his or her pain”.
The Okomu Conservator of Parks, CP Lawrence Osaze, expressed delight at the establishment and training of the GRC. He opined that the GRC would help to address grievances between the national park and communities.
“The training provided an opportunity for open discussion. It has given communities a better understanding of how the park works, the dos and don’ts of the park. From henceforth I know their perception about the park will change and they will want to support the park. When parks and communities come together there are bound to be some grievances and this is one of the ways of solving [issues] and getting the understanding you need to work together in progress,” said Osaze, even as he further thanked BIOPAMA, NCF and SCERA for making such an initiative possible.
A training was also organised for rangers in the Spatial, Monitoring and Reporting Tool (SMART) and human rights.
“At the end of the training, rangers will be well equipped to conduct forest patrols following a standardised law enforcement strategy and ensuring respect for human rights while performing their duties,” said Joseph Molokwu, SCERA Technical Programme Coordinator.
CP Lawrence Osaze further added that “the SMART training was timely, as it will help the rangers in conducting effective patrols as everything is going digital. SCERA has done well bringing this to ONP”.
The climax of the one-week event was the presentation of motorcycles to the Okomu National Park management for forest patrols.

The project is a collaboration involving Sustainability and Conservation Education for Rural Areas, BIOPAMA AC Medium Grant and the Nigerian Conservation Foundation.